One Man Against the World exists thanks in great part to three people: Stephen Rubin, the courageous president and publisher of Henry Holt and Company; Gillian Blake, Holt’s extraordinary editor in chief, who gave every word meaning; and my brilliant literary agent, Kathy Robbins, who has stood by me for twenty years.
At the Robbins Office, David Halpern contributed mightily. At Holt, thanks to Chris O’Connell, Meryl Sussman Levavi, Jenna Dolan, Eleanor Embry, and Caroline Zancan.
The collected works of Richard Nixon include 2,636 hours of taped White House conversations open to the public. The struggle to wrestle them from Nixon—and the continuing effort to transcribe them—has been an epic battle. The last 340 hours of tapes were released on August 21, 2013, nearly forty years to the day after their existence was revealed at the Senate Watergate Hearings. The talented Cynthia Colonna helped me immeasurably in transcribing hundreds of crucial Nixon tapes.
## Unrelated to this text: records of crystals
- - -
## Cs2TlHCl5 (GGA-PBE)

Data for a relaxed structure of Cs2TlHCl5.

Computed properties:
calculated total energy: -25.80 eV per formula unit
M_tot: 0.11 μB per atom
SG: Pnma (62)

a = 14.6604 Å, b = 11.2092 Å, c = 7.5712 Å
α = 90.00°, β = 90.00°, γ = 90.00°
Last column: nearest neighbours and their distance in Å.
Sites, in units of the cell vectors:
Cs: 0.1372 0.0026 0.1841  10 Cl 3.60-3.94
Cs: 0.1372 0.4974 0.1841  10 Cl 3.60-3.94
Cs: 0.3628 0.5026 0.6841  10 Cl 3.60-3.94
Cs: 0.3628 0.9974 0.6841  10 Cl 3.60-3.94
Cs: 0.6372 0.0026 0.3159  10 Cl 3.60-3.94
Cs: 0.6372 0.4974 0.3159  10 Cl 3.60-3.94
Cs: 0.8628 0.5026 0.8159  10 Cl 3.60-3.94
Cs: 0.8628 0.9974 0.8159  10 Cl 3.60-3.94
Tl: 0.1216 0.2500 0.7106  1 H 1.81
Tl: 0.3784 0.7500 0.2106  1 H 1.81
Tl: 0.6216 0.2500 0.7894  1 H 1.81
Tl: 0.8784 0.7500 0.2894  1 H 1.81
H: 0.0315 0.2500 0.5475  1 Tl 1.81
H: 0.4685 0.7500 0.0475  1 Tl 1.81
H: 0.5315 0.2500 0.9525  1 Tl 1.81
H: 0.9685 0.7500 0.4525  1 Tl 1.81
Cl: 0.0029 0.7500 0.0356  1 Tl 2.65
Cl: 0.1078 0.0136 0.6897  1 Tl 2.66
Cl: 0.1078 0.4864 0.6897  1 Tl 2.66
Cl: 0.2293 0.2500 0.4303  1 Tl 2.65
Cl: 0.2494 0.7500 0.4234  1 Tl 2.48
Cl: 0.2506 0.2500 0.9234  1 Tl 2.48
Cl: 0.2707 0.7500 0.9303  1 Tl 2.65
Cl: 0.3922 0.5136 0.1897  1 Tl 2.66
Cl: 0.3922 0.9864 0.1897  1 Tl 2.66
Cl: 0.4971 0.2500 0.5356  1 Tl 2.65
- - -
## The text goes on
All Nixon historians stand on the shoulders of Stanley Kutler, professor emeritus at the University of Wisconsin–Madison. In 1994, Kutler sued the National Archives and the Nixon estate to force the release of the White House tapes. He won. He worked tirelessly for more than twenty years to bring the truth of the Nixon administration out of the past and into the light of day. Stanley died in April 2015. I wish he could have read this book.
Harry Robbins Haldeman produced handwritten and dictated diaries that describe in minute detail the mind of Richard Milhous Nixon. Haldeman’s candor can be checked meticulously against contemporaneous documents and records. Haldeman almost always got it right—and his reflections have a mordant sense of humor. Without his diaries (online and in the public domain at the Nixon Library’s website), replete with passages declassified as recently as November 2014, no accurate account of Richard Nixon’s presidency would be possible.
Unrelated to this article: data records:
<<<
## MgZn4O5 (r2SCAN)

Data for a relaxed structure of MgZn4O5.

Cell and atoms, written as CIF:
```
data_MgZn4O5
_chemical_formula_sum 'Mg2 Zn8 O10'
_cell_length_a 3.2498
_cell_length_b 3.2498
_cell_length_c 25.9212
_cell_angle_alpha 90.00
_cell_angle_beta 90.00
_cell_angle_gamma 120.00
_space_group_name_H-M_alt 'P 3 m 1'
_space_group_IT_number 156
loop_
_space_group_symop_operation_xyz
'x,y,z'
'-y,x-y,z'
'-x+y,-x,z'
'-y,-x,z'
'-x+y,y,z'
'x,x-y,z'
loop_
_atom_site_label
_atom_site_type_symbol
_atom_site_fract_x
_atom_site_fract_y
_atom_site_fract_z
_atom_site_occupancy
Mg1 Mg 0.0000 0.0000 0.0000 1
Mg2 Mg 0.0000 0.0000 0.1988 1
Zn1 Zn 0.0000 0.0000 0.3977 1
Zn2 Zn 0.0000 0.0000 0.5984 1
Zn3 Zn 0.0000 0.0000 0.7991 1
Zn4 Zn 0.6667 0.3333 0.0982 1
Zn5 Zn 0.6667 0.3333 0.2973 1
Zn6 Zn 0.6667 0.3333 0.4980 1
Zn7 Zn 0.6667 0.3333 0.6987 1
Zn8 Zn 0.6667 0.3333 0.8993 1
O1 O 0.0000 0.0000 0.1225 1
O2 O 0.0000 0.0000 0.3211 1
O3 O 0.0000 0.0000 0.5218 1
O4 O 0.0000 0.0000 0.7225 1
O5 O 0.0000 0.0000 0.9237 1
O6 O 0.6667 0.3333 0.0219 1
O7 O 0.6667 0.3333 0.2208 1
O8 O 0.6667 0.3333 0.4214 1
O9 O 0.6667 0.3333 0.6221 1
O10 O 0.6667 0.3333 0.8228 1
```

Calculated values
For the formation enthalpy at 0 K, the calculation gives -1.890 eV per atom.


# 1
Here is In5AgSe8 after structural relaxation from the Materials Project database. Energies are from r²SCAN.

Summary:
**Uncorrected energy**: -18.41 eV/atom

```
data_In5AgSe8
_symmetry_space_group_name_H-M 'P 1'
_symmetry_Int_Tables_number 1
_cell_length_a 5.843
_cell_length_b 5.843
_cell_length_c 11.942
_cell_angle_alpha 90.00
_cell_angle_beta 90.00
_cell_angle_gamma 90.00
loop_
_symmetry_equiv_pos_as_xyz
'x,y,z'
loop_
_atom_site_label
_atom_site_fract_x
_atom_site_fract_y
_atom_site_fract_z
In1 0.000 0.000 0.000
In2 0.000 0.500 0.254
In3 0.000 0.500 0.746
In4 0.500 0.000 0.254
In5 0.500 0.000 0.746
Ag1 0.500 0.500 0.500
Se1 0.229 0.229 0.619
Se2 0.229 0.771 0.381
Se3 0.272 0.272 0.113
Se4 0.272 0.728 0.887
Se5 0.728 0.272 0.887
Se6 0.728 0.728 0.113
Se7 0.771 0.229 0.381
Se8 0.771 0.771 0.619
```

***

# 2
Here is Sr3Ru2O7 after structural relaxation from the Materials Project database. Energies are from r²SCAN.

Summary:
**Offset from the most stable computed form**: 5.2 meV per atom

```
data_Sr3Ru2O7
_symmetry_space_group_name_H-M 'P 1'
_symmetry_Int_Tables_number 1
_cell_length_a 10.525
_cell_length_b 10.525
_cell_length_c 10.525
_cell_angle_alpha 158.38
_cell_angle_beta 158.38
_cell_angle_gamma 30.77
loop_
_symmetry_equiv_pos_as_xyz
'x,y,z'
loop_
_atom_site_label
_atom_site_fract_x
_atom_site_fract_y
_atom_site_fract_z
Sr1 0.000 0.000 0.000
Sr2 0.184 0.184 0.000
Sr3 0.816 0.816 0.000
Ru1 0.402 0.402 0.000
Ru2 0.598 0.598 0.000
O1 0.097 0.597 0.500
O2 0.304 0.304 0.000
O3 0.403 0.903 0.500
O4 0.500 0.500 0.000
O5 0.597 0.097 0.500
O6 0.696 0.696 0.000
O7 0.903 0.403 0.500
```

***

# 3
Here is Li3NdAs2 after structural relaxation from the Materials Project database. Energies are from r²SCAN.

Summary:
>>>
The article goes on:
The memoirs of members of the Nixon administration are often self-serving, and sometimes demonstrably false. An exception is John W. Dean III’s The Nixon Defense, published in August 2014. Dean—who, like Iago in Shakespeare’s Othello, plotted to destroy his master—may not be the most reliable narrator of the Nixon tragedy, but his book is essential. With the help of forty-two Nixon Presidential Library archivists and six personal assistants, Dean transcribed a multitude of previously unpublished tapes. His book is a straightforward script of the conversations and confrontations that preceded Nixon’s downfall.
Timothy Naftali led the Nixon Presidential Library for four crucial years until November 2011. He is an unsung hero of American history. I am grateful to him, his successors, and every staff member of the Nixon Library, who will serve generations of Americans throughout the twenty-first century.
The editors, historians, and archivists of The Foreign Relations of the United States series produce the official diplomatic history of America, published continuously since the Civil War. Their work is unique and invaluable. Laboring tirelessly—often against strong opposition from the CIA—they have printed fifty-six thick volumes of declassified documents on the foreign policies of the Nixon administration, all available online. Since 2007, these have incorporated the transcripts of hundreds of hours of conversations among Nixon, Kissinger, and their top military, diplomatic, and intelligence officials.
**Unrelated to this piece: records of crystals**
'''
[1]
DFT (meta-GGA r2SCAN) results for Cu5Se2Cl2O8 after structural relaxation.

Geometry as CIF:
```
data_Cu5Se2Cl2O8
_space_group_name_H-M_alt 'P 1'
_space_group_IT_number 1
_space_group_name_Hall 'P 1'
_cell_length_a 8.137
_cell_length_b 5.421
_cell_length_c 11.080
_cell_angle_alpha 80.52
_cell_angle_beta 90.00
_cell_angle_gamma 90.00
loop_
_atom_site_label
_atom_site_type_symbol
_atom_site_fract_x
_atom_site_fract_y
_atom_site_fract_z
Cl1 Cl 0.347 0.279 0.976
O1 O 0.268 0.712 0.252
O2 O 0.058 0.350 0.739
Cu1 Cu 0.714 0.483 0.883
Cu2 Cu 0.075 0.523 0.880
O3 O 0.768 0.288 0.248
O4 O 0.567 0.920 0.341
O5 O 0.067 0.080 0.159
O6 O 0.442 0.350 0.239
O7 O 0.101 0.671 0.028
Cu3 Cu 0.500 0.000 0.500
O8 O 0.899 0.329 0.972
Se1 Se 0.909 0.135 0.713
Cu4 Cu 0.786 0.483 0.383
Cu5 Cu 0.425 0.523 0.380
Cl2 Cl 0.653 0.721 0.024
Cl3 Cl 0.153 0.279 0.476
Se2 Se 0.591 0.135 0.213
O9 O 0.399 0.671 0.528
O10 O 0.933 0.920 0.841
O11 O 0.732 0.288 0.748
O12 O 0.232 0.712 0.752
O13 O 0.433 0.080 0.659
Cu6 Cu 0.000 0.000 0.000
Cu7 Cu 0.286 0.517 0.117
Se3 Se 0.091 0.865 0.287
O14 O 0.558 0.650 0.761
Cl4 Cl 0.847 0.721 0.524
Cu8 Cu 0.214 0.517 0.617
O15 O 0.601 0.329 0.472
Cu9 Cu 0.925 0.477 0.120
O16 O 0.942 0.650 0.261
Se4 Se 0.409 0.865 0.787
Cu10 Cu 0.575 0.477 0.620
```

The calculation puts the energy at -9.206 eV/atom. The value obtained for the spin magnetization is 1.00 μB per formula unit. For the formation energy from the elements, the calculation gives -0.797 eV/atom.

[2]
DFT (meta-GGA r2SCAN) results for Rb2CuCl4 after structural relaxation.

Geometry as CIF:
```
data_Rb2CuCl4
_space_group_name_H-M_alt 'P 1'
_space_group_IT_number 1
_space_group_name_Hall 'P 1'
_cell_length_a 8.610
_cell_length_b 8.610
_cell_length_c 7.148
_cell_angle_alpha 90.00
_cell_angle_beta 90.00
_cell_angle_gamma 131.04
loop_
_atom_site_label
_atom_site_type_symbol
_atom_site_fract_x
_atom_site_fract_y
_atom_site_fract_z
Rb1 Rb 0.861 0.139 0.500
Cl1 Cl 0.150 0.850 0.000
Cl2 Cl 0.650 0.350 0.500
Cl3 Cl 0.850 0.150 0.000
Rb2 Rb 0.639 0.361 0.000
Rb3 Rb 0.139 0.861 0.500
Cl4 Cl 0.226 0.226 0.775
Cu1 Cu 0.000 0.000 0.000
Cl5 Cl 0.350 0.650 0.500
Cl6 Cl 0.726 0.726 0.725
Rb4 Rb 0.361 0.639 0.000
Cu2 Cu 0.500 0.500 0.500
Cl7 Cl 0.274 0.274 0.275
Cl8 Cl 0.774 0.774 0.225
```

The calculation puts the energy at -10.603 eV/atom. The value obtained for the spin magnetization is 1.00 μB per formula unit. For the formation energy from the elements, the calculation gives -1.558 eV/atom.

[3]
DFT (meta-GGA r2SCAN) results for RbCuCl3 after structural relaxation.

Geometry as CIF:
```
data_RbCuCl3
_space_group_name_H-M_alt 'P 1'
_space_group_IT_number 1
_space_group_name_Hall 'P 1'
_cell_length_a 6.227
_cell_length_b 7.046
_cell_length_c 11.808
_cell_angle_alpha 90.00
_cell_angle_beta 90.00
_cell_angle_gamma 90.00
loop_
_atom_site_label
_atom_site_type_symbol
_atom_site_fract_x
_atom_site_fract_y
_atom_site_fract_z
Cl1 Cl 0.183 0.742 0.586
Cl2 Cl 0.317 0.242 0.086
Cl3 Cl 0.250 0.000 0.852
'''
My mother, Professor Dora B. Weiner, is a distinguished historian. She taught me how to read and write. I am forever grateful to her.
I love my wife, Kate Doyle, who works with all her heart and soul in the name of human rights, and our daughters, Emma Doyle and Ruby Doyle, who know that American democracy is a work in progress—and that work may take a long time. We are all in it for the long haul. I dedicate this book, and my life, to them.